Литмир - Электронная Библиотека


“One evening I noticed something strange. Just before I blindfolded Eleanor she would close her eyes. It seemed counterintuitive. Surely someone so afraid of forced blindness would keep her eyes open to drink in every precious second of sight. Then I realized what she was doing. By closing her eyes first she was choosing the darkness, blindfolding herself in a way, and subverting me with her very surrender. Astonishing. I had never been so proud of her. That’s what this place is. This is where we come to close our eyes.”

Søren opened the door with the Alice in Wonderland quote. Zach let Søren enter the dark room first. When a light appeared Zach stepped inside. Søren stood by a massive bed piled high with red and gold linens. He had an oil lamp in his hand. The lamp sent lambent light into every corner of the room. It seemed to be only a bedroom, albeit one festooned like a French bordello.

Computed, not measured: an optimized crystal structure of Pa2Co4Si3Au at the PBE level of DFT.

Theoretical density   10.6 g/cm³
Uncorrected formation energy   -59 kJ/mol of atoms

Cell lengths 3.7846, 3.7846, 10.6579 Å; angles 90.00, 90.00, 90.00 degrees
Element x y z (fractional)
Pa1 0.5000 0.0000 0.2462
Pa2 0.0000 0.5000 0.7538
Co1 0.5000 0.5000 0.0000
Co2 0.0000 0.0000 0.0000
Co3 0.5000 0.0000 0.6716
Co4 0.0000 0.5000 0.3284
Si1 0.0000 0.0000 0.5000
Si2 0.5000 0.0000 0.8838
Si3 0.0000 0.5000 0.1162
Au1 0.5000 0.5000 0.5000


A relaxed NaHI2F crystal, computed with GGA-PBEsol.

It has space group P4/mmm (No. 123), with a = 5.299 Å, b = 5.299 Å, c = 4.471 Å, α = 90.00°, β = 90.00° and γ = 90.00°. Symmetry generates all atoms from Na at (0.000, 0.000, 0.000), H at (0.500, 0.500, 0.000), I at (0.000, 0.500, 0.500) and F at (0.000, 0.000, 0.500).

As for the total magnetization: 1.05 Bohr magnetons per cell. Its crystal system is tetragonal. As for the total energy: -2.24 eV per atom. As for the calculated volume: 25.11 Å³/atom.


The following is a DFT calculation (GGA-PBE) of a relaxed Tb8Y3 crystal.

Summary:
* E: -0.3757 Ry/atom
* magnetic moment: 0.000 μB/f.u.
* D(E_F): 1.395 states/eV per atom
* crystal system: monoclinic
* space-group type: C2/m
* ΔE_f: 0.02 eV/atom

abc: 3.562 7.967 14.684
angles: 119.09 90.00 102.92
Positions (direct):
Tb  0.728  0.456  0.091
Tb  0.272  0.544  0.909
Tb  0.546  0.091  0.818
Tb  0.454  0.909  0.182
Tb  0.819  0.638  0.728
Tb  0.181  0.362  0.272
Tb  0.637  0.274  0.454
Tb  0.363  0.726  0.546
Y  0.000  0.000  0.000
Y  0.909  0.818  0.364
Y  0.091  0.182  0.636

***

The following is a DFT calculation (GGA-PBE) of a relaxed InHgPd3 crystal.

Summary:
* E: -0.2353 Ry/atom
* magnetic moment: 0.000 μB/f.u.
* D(E_F): 0.646 states/eV per atom
* crystal system: cubic
* space-group type: Pm-3m
* ΔE_f: 0.52 eV/atom

abc: 4.960 4.960 4.960
angles: 90.00 90.00 90.00
Positions (direct):
Hg  0.500  0.500  0.500
Pd  0.000  0.500  0.000
Pd  0.000  0.000  0.500
Pd  0.500  0.000  0.000
In  0.000  0.000  0.000

***

> The lowest ΔE_f belongs to which entry?

Tb8Y3

***

> D(E_F) of number 1 (Tb8Y3)?

1.395 states/eV per atom

“Decadent, isn’t it? Eleanor has never learned the meaning of subtle. Perhaps you could help her with that.”

“So Nora has her own room here?”

“Yes. The top seven Dominants are given their own quarters for personal use. As you can see,” Søren said, bending down and picking up a white lace garter off the floor and laying it on the rumpled bed, “she has been making use of it.”

Zach looked at the discarded lingerie and grinned.

“White…I wouldn’t have expected it of Nora. She’s always in red or black.”

“I doubt it belongs to Eleanor,” Søren said.

“Then why—” Zach began and stopped before he said something foolish. Of course, Nora had been with another woman. He tried to be bothered by the fact, but the images that tiny slip of lace brought to mind evoked feelings distinctly different from disgust.

“You appear troubled, Zachary. What is it?” Søren asked, and Zach did not trust the note of concern in the priest’s voice.

“She joked about threesomes with other women. I suppose it wasn’t a joke.”

Søren gave him a dark look.

“Eleanor is always joking. Eleanor is never joking. Best to learn that as soon as possible. Care to see the rest of the suite?”


“Eleanor’s earned very posh accommodations here.”

Søren raised the oil lamp to shine a light on a door to the left of the massive bed.

“How does one become a top Dominant here?” Zach asked as he walked around the bed to the door. As soon as Søren’s back was turned, Zach took the white garter off the bed and shoved it in his pocket.

“The same way anyone else would ascend to the heights of her chosen field.” Søren opened the door. “Practice.”

Zach inhaled sharply as he entered the second room of Nora’s suite.

“Good God,” he breathed. In the center of the room stood a massive wooden X. Leather thongs were attached to the tops and bottoms of the wood planks—a large-scale cross of her very own. Zach had no doubt what Nora used it for. He’d seen the pit, seen a man lashed to it and beaten until he came.

Eyes wide with shock, Zach turned his attention to the walls. On hooks and racks, in rows of military precision hung whips, floggers, bamboo canes, crops…a hundred various instruments of torture. On a small table lay an assortment of spreader bars like the one Nora had in her toy bag at home. He opened a drawer and found cuffs and collars, leashes and leads. In addition to the cross was a large examining table, the kind found in a doctor’s office. Except this one came equipped with four-point restraints.

Søren’s voice came from over his shoulder.

“Impressive, isn’t it?”

“No,” Zach said. “It’s appalling.”

“Really? Such a strong word to describe sensual activities shared between consenting adults.”

“Hurting people for pleasure? For sexual pleasure?”

“Holding Eleanor down while she struggled underneath me and begged me to stop…that was beauty.”

“Rape isn’t beautiful.”

“But you see, it wasn’t rape,” Søren said, his tone light and conversational. “She enjoyed the struggle, enjoyed feeling overpowered and taken. I take rape very seriously, Zachary. My mother was a rape victim.”

Zach turned and looked at Søren in shocked sympathy. His distrust of the man wavered.

“I’m sorry,” he said with sincerity. “That must have been traumatic. For you and her.”

“It was.”

“May I ask how old you were when it happened?” Zach asked, trying to find the origin of Søren’s violent sexual proclivities.

“It happened roughly nine months before I was born. But that is neither here nor there. You seem uncomfortable with women fully owning their sexuality.”

“That isn’t true. Women have as much right to their bodies and desires as men. Nora accuses me of being a stuffy Englishman and she isn’t far off the mark. But I am no prude.”

“You say that and yet the thought of a woman allowing herself to be violated appalls you.”

“Of course it does. There are limits to what’s healthy.”

“Healthy…interesting word choice. Are you much familiar with the disease leprosy?”

Zach furrowed his brow at the odd question.

“No more so than the next man, I suppose.”

“I mention it for a reason.” Søren began to make a slow circuit of the room. “During my summers at seminary I worked in a leprosy camp in India. There is a disturbing amount of misinformation about the disease. The idea that it is the disease that infects the limbs and causes them to rot and fall off? Pure myth. Leprosy, Hansen’s disease as it should be called, is a disease of the nerves. It destroys the nerves that experience pain. And once the ability to feel pain is gone, then it is a simple matter to burn the hand off while cooking dinner over an open fire, or to step on a small nail and not realize it until a doctor pulls it from a festering wound a week later. There were mornings,” Søren said as he took a whip from its hook on the wall and examined it, “I awoke to the sound of screams. Without the capacity for pain it is all too easy to slumber in peace as a rat chews off your fingers in the night.”

“Pain is a necessary evil,” Zach said, fighting off the chills produced by Søren’s hypnotic speech. “But still an evil.”

“Pain is a gift from God. It imparts understanding, wisdom. Pain is life. And here we give pain as freely as we give pleasure.”

Zach watched Søren’s hand as he gripped the handle of the whip and coiled it neatly. Every movement the priest made was precise, his fingers as deft as an artist’s, his muscles lean and taut as a dancer. And on his face he wore an expression of quiet peace, of intelligent disinterest. A true believer, Zach could tell. But a believer in what? Words from Paradise Lost came to Zach’s mind—“Better to reign in hell than serve in Heaven.” Somehow, Zach realized, Nora’s priest had found a way to do both.

“If pain is a sign of love,” Zach said as Søren hung the whip on the wall once more, “then I must love a great deal.” He thought of Grace now, wondered what she would say if she knew where he was, what he was doing.

Søren’s eyes found his and the look he gave Zach was one of the most profound compassion.

“I am certain that you do.”

Zach held the priest’s gaze as long as he could, but the moment grew too intimate and Zach turned away. A good priest, Griffin had called Søren. He was certainly adept at inspiring confessions.

A mural adorned the fourth wall of the room. Zach picked up the oil lamp and threw light against the familiar monster on the wall.

“The lesson of the Jabberwocky,” Zach said, studying its line and angles. Søren came to stand at his side. “I saw a book at Nora’s. The Jabberwocky. You, I presume it was you, wrote, ‘Never forget the lesson of the Jabberwocky’ inside it. But it’s a nonsense poem. It has no lesson.”

**Crystal structures from another source follow**
<<<
No. 1
First-principles (PBE-GGA) data for a relaxed structure of Pm3F8, as listed in Alexandria via LeMat-Bulk.

The space group is Pm-3m (No. 221) and the conventional cell measures 5.690, 5.690 and 5.690 Å, with angles of 90.00, 90.00 and 90.00 degrees. Symmetry generates all atoms from Pm at (0.000, 0.000, 0.500) and F at (0.231, 0.231, 0.231).

For the total moment, the calculation gives 1.0 μB per cell. As for the uncorrected formation energy: -3.8452 eV/atom. Its crystal system is cubic. For the total energy, the calculation gives -71.52 eV/cell. Its density of states at the Fermi level is 0.3502 states/eV per atom.

No. 2
First-principles (PBE-GGA) data for a relaxed structure of Al3GeI, as listed in Alexandria via LeMat-Bulk.

The space group is Pm-3m (No. 221) and the conventional cell measures 5.172, 5.172 and 5.172 Å, with angles of 90.00, 90.00 and 90.00 degrees. Symmetry generates all atoms from Al at (0.000, 0.000, 0.500), Ge at (0.000, 0.000, 0.000) and I at (0.500, 0.500, 0.500).

For the total moment, the calculation gives 0.0 μB per cell. As for the uncorrected formation energy: 0.4715 eV/atom. Its crystal system is cubic. The energy above the most stable polymorph in this dataset is 0 meV per atom. For the total energy, the calculation gives -15.04 eV/cell. Its density of states at the Fermi level is 0.3445 states/eV per atom.

No. 3
First-principles (PBE-GGA) data for a relaxed structure of Pm2Dy3Sc3, as listed in Alexandria via LeMat-Bulk.

The space group is R-3m (No. 166, hexagonal axes) and the conventional cell measures 6.1464, 6.1464 and 22.6975 Å, with angles of 90.00, 90.00 and 120.00 degrees. Symmetry generates all atoms from Pm at (0.0000, 0.0000, 0.2086), Dy at (0.0000, 0.0000, 0.0712), Dy at (0.0000, 0.0000, 0.5000) and Sc at (0.0000, 0.5000, 0.0000).

For the total moment, the calculation gives 0.1 μB per cell. Its crystal system is trigonal. The energy above the most stable polymorph in this dataset is 209 meV per atom. For the total energy, the calculation gives -120.65 eV/cell. Its density of states at the Fermi level is 2.3909 states/eV per atom.

No. 4
First-principles (PBE-GGA) data for a relaxed structure of BiRu2Pt2, as listed in Alexandria via LeMat-Bulk.

The space group is P4/mbm (No. 127) and the conventional cell measures 6.950, 6.950 and 3.657 Å, with angles of 90.00, 90.00 and 90.00 degrees. Symmetry generates all atoms from Bi at (0.000, 0.000, 0.000), Ru at (0.126, 0.374, 0.000) and Pt at (0.162, 0.662, 0.500).

For the total moment, the calculation gives 0.0 μB per cell. Its crystal system is tetragonal. For the total energy, the calculation gives -65.85 eV/cell. Its density of states at the Fermi level is 1.1297 states/eV per atom.

No. 5
First-principles (PBE-GGA) data for a relaxed structure of BeIr2Os, as listed in Alexandria via LeMat-Bulk.
>>>

“But it does,” Søren countered. “A handsome prince fights a terrible, beautiful dragon and slays him then carries the head home strapped to his saddle. The lesson is obvious. When one is a monster, one does well to beware knights in shining armor. A good lesson for Eleanor.”
